Fill the Air in Your Bike Tires Regularly

Bicycle Wheel and TireSo I bought a bike yesterday, and the gentleman who owned the bike shop was very helpful. Before he even showed me any bikes, he asked me a lot of questions, which prompted me to ask him this, “How long can I expect my bike to last? I mean, the more I maintain it, just like my car, the longer it should last, right?”

He said, “Let me tell you something very important. For a car, you only need to fill up your tires with air every few months. On the other hand, the very best thing you can do for your bike is to fill the tires everyday.” I was taken aback. I said surprisingly, “Everyday?! Keeping a bike maintained is harder than I thought!” In which he replied, “Yes, everyday. Unlike a car in which the air bleeds very slowly, the air in bike tires bleeds very quickly.”

_Records of molecules, as found in the file_
This record from OMol25 describes a cluster of 2 separate species, CH3NOS in total. The level of theory is wB97M-V/def2-TZVPD.

Output
Lowest unoccupied orbital energy (alpha / beta) (hartree): -0.001 / -0.001
HOMO level (alpha / beta) (eV): -8.941 / -8.936
Gap between HOMO and LUMO (alpha / beta) (eV): 8.90 / 8.90
Relative energy (zero: lowest compared OMol25 entry of this formula, charge and spin) (eV): 3.969

```
7
Properties=species:S:1:pos:R:3:mulliken_charge:R:1
H -0.725 -1.601 -0.168 0.130
H 0.676 0.789 -0.933 0.257
H 0.691 1.070 0.784 0.278
O -3.465 -0.702 -0.195 -0.262
N 0.202 0.619 -0.023 -0.499
C -2.320 -0.459 -0.200 0.004
S -1.467 1.098 0.166 0.092
```

***

This record from OMol25 describes a structure of composition C5H2O. The level of theory is wB97M-V/def2-TZVPD.

Output
Lowest unoccupied orbital energy (alpha / beta) (hartree): -0.036 / -0.036
HOMO level (alpha / beta) (eV): -9.533 / -9.533
Gap between HOMO and LUMO (alpha / beta) (eV): 8.55 / 8.55
Relative energy (zero: lowest compared OMol25 entry of this formula, charge and spin) (eV): 3.086

```
8
Properties=species:S:1:pos:R:3:mulliken_charge:R:1
C 0.588 1.572 -0.052 -0.275
C 1.257 0.657 -1.059 -0.472
C 1.270 -0.304 -0.062 0.086
H -2.132 0.456 0.564 0.336
C -1.348 -0.237 0.210 -0.086
C 0.025 0.303 0.222 0.499
H 1.914 -1.085 0.340 0.342
O -1.574 -1.362 -0.163 -0.431
```

***

This record from OMol25 describes a cluster of 4 separate species, C25H58F3N4O2 in total. The level of theory is wB97M-V/def2-TZVPD.

Output
Lowest unoccupied orbital energy (hartree): -0.154
HOMO level (eV): -12.213
Gap between HOMO and LUMO (eV): 8.03
Total charge: +1

```
92
Properties=species:S:1:pos:R:3:mulliken_charge:R:1
H -2.790 -2.878 1.786 0.216
H -5.484 -3.643 -4.264 0.340
C -5.890 -4.936 1.518 -1.452
C 1.622 1.734 2.468 -0.338
O -6.052 -0.451 -1.146 -0.332
C -1.472 1.744 2.097 -0.615
H 0.708 -0.112 1.859 0.224
H 6.292 7.711 -2.460 0.301
H 2.577 3.665 2.689 0.490
C 3.882 6.496 -3.235 -0.765
H -6.098 -4.815 -3.082 0.291
C 4.670 -1.463 3.196 -1.036
F -7.709 0.550 -0.034 -0.245
C 3.321 -4.028 0.808 -0.491
H -2.361 2.205 1.656 0.433
H -1.072 2.472 2.804 0.320
F -7.485 -1.595 0.138 -0.228
H 5.761 5.816 -4.002 0.367
C 5.268 5.885 -3.030 -0.356
H 5.180 4.860 -2.659 0.255
C 3.323 -2.517 0.577 -0.032
H -5.485 -0.570 0.855 0.381
H 1.028 1.848 3.380 0.311
H -4.237 -2.046 2.057 0.217
H -1.043 0.003 3.342 0.354
H -3.488 -2.364 -2.645 0.362
H -5.276 -5.711 1.954 0.374
C 6.154 6.695 -2.086 -1.196
C -5.556 -4.707 0.052 -0.082
H 2.063 7.036 -2.237 0.403
H 7.138 6.235 -1.994 0.375
C -5.236 -4.519 -3.673 -0.693
H -0.913 0.779 0.254 0.107
H -6.914 -5.290 1.557 0.427
C 2.021 4.255 -2.095 -1.001
H -6.137 -3.860 -0.299 0.098
H 2.526 1.194 2.761 0.030
C 2.017 3.108 1.937 -1.192
O -4.096 -4.300 -2.847 -0.412
H 5.726 6.757 -1.084 0.282
C 3.028 6.596 -1.970 -0.890
H -3.087 -0.489 -0.174 0.115
H 2.648 3.013 1.051 0.225
H -2.630 0.715 3.610 0.442
H 6.401 -1.581 1.937 0.374
H 2.215 5.470 -0.340 0.255

Later in the day I got to thinking about this (and thinking about getting a good pump!). I thought about how the same is so true for our own well-being. Let’s face it. There is negativity everywhere. Sometimes it even seems as if it’s inescapable. There’s negativity on TV, in the news, on the road with frustrated drivers, in our families, in our circle of friends, with our co-workers, and many other places and with people that we frequent with on a daily basis! I like to think of this as the air bleeding from our tires slowly everyday. As the day goes on and as we “bleed” more “air,” it makes for a “less smooth ride.”

There’s a saying, “You can’t control what goes on around you, but you can control your response to it.” In the same way, I can’t control the constant air that will bleed slowly from my tires everyday, but I can control how often I fill my tires with air. Just as we can’t control the negativity that surrounds us and saps us of our “air” everyday, we can continue to fill ourselves with air to remain in a positive, optimistic state all day long.

What are some ways that you can fill your mind with positivity everyday? Maybe it’s reading something inspirational every morning. Maybe it’s switching the station on your TV or in your car when the depressing news comes on. Maybe it’s not watching TV at all. Maybe it’s not listening the to radio in the car, but rather turning your car into a classroom with positive, uplifting audio books as you commute to work and back home. Maybe it’s taking a hard look at your associations and realizing who saps the positivity out of you, as well as who fills you on a daily basis.

Just as I have my clients ask themselves this question when making a food choice: “Will this choice move me closer to my goals or away from my goals,” the same is true for what and whom we invite into our lives. Keep filling your mind with things that will move you forward on your journey of self-improvement. Forgetting to fill my bike tires with air everyday for a week may not look like they’ve lost any air, but once I try to take it for a ride and put pressure on it, I see that it will not be able to handle it. Be proactive with inviting positivity into your life everyday and I guarantee that your journey will be smoother and more gratifying. Enjoy the ride!